**Data**
-- begin --
# 1
A relaxed ErSiPd crystal, computed with PBE.

```
ErSiPd
1.0
4.316 0.000 0.000
0.000 13.853 0.000
0.000 0.000 7.447
Er Si Pd
8 8 8
Direct
0.250 0.001 0.210
0.250 0.250 0.300
0.250 0.499 0.210
0.250 0.750 0.293
0.750 0.250 0.707
0.750 0.501 0.790
0.750 0.750 0.700
0.750 0.999 0.790
0.250 0.105 0.593
0.250 0.395 0.593
0.250 0.657 0.908
0.250 0.843 0.908
0.750 0.157 0.092
0.750 0.343 0.092
0.750 0.605 0.407
0.750 0.895 0.407
0.250 0.141 0.924
0.250 0.359 0.924
0.250 0.593 0.582
0.250 0.907 0.582
0.750 0.093 0.418
0.750 0.407 0.418
0.750 0.641 0.076
0.750 0.859 0.076
```

Computed properties:
calculated density = 9.0 g/cm3
calculated volume = 55.7 Å³/f.u.
DFT total energy = -6.069 eV per atom
crystal system = orthorhombic

***

# 2
A relaxed Ba2LiTbIrO6 crystal, computed with PBE.

```
Ba2LiTbIrO6
1.0
-2.953 3.022 4.449
2.953 -3.022 4.449
2.953 3.022 -4.449
Ba Li Tb Ir O
2 1 1 1 6
Direct
0.206 0.206 0.000
0.794 0.794 0.000
0.500 0.500 0.000
0.500 0.000 0.500
0.000 0.500 0.500
0.232 0.732 0.500
0.250 0.270 0.520
0.250 0.730 0.981
0.750 0.270 0.019
0.750 0.730 0.480
0.768 0.268 0.500
```

Computed properties:
E above lowest polymorph = 1.2 meV per atom
calculated density = 7.6 g/cm3
calculated volume = 158.8 Å³/f.u.
DFT total energy = -6.611 eV per atom
crystal system = orthorhombic
spin magnetization = 1.00 Bohr magnetons per cell

***

# 3
A relaxed Na6Mg4Nb2Si3S6O36 crystal, computed with PBE.

```
Na6Mg4Nb2Si3S6O36
1.0
8.888 0.000 0.000
-4.444 7.697 0.000
0.000 0.000 22.624
Na Mg Nb Si S O
12 8 4 6 12 72
Direct
0.000 0.000 0.000
0.000 0.000 0.500
0.040 0.356 0.093
0.040 0.684 0.593
0.316 0.356 0.593
0.316 0.960 0.093
0.333 0.667 0.173
0.333 0.667 0.673
0.644 0.684 0.093
0.644 0.960 0.593
0.667 0.333 0.337
0.667 0.333 0.837
0.000 0.000 0.360
0.000 0.000 0.860
0.333 0.667 0.025
0.333 0.667 0.325
0.333 0.667 0.525
0.333 0.667 0.825
0.667 0.333 0.192
0.667 0.333 0.692
0.000 0.000 0.155
0.000 0.000 0.655
0.667 0.333 0.493
0.667 0.333 0.993
0.379 0.040 0.596
0.379 0.339 0.096
0.661 0.040 0.096
0.661 0.621 0.596
0.960 0.339 0.596
0.960 0.621 0.096
0.000 0.293 0.261
0.000 0.707 0.761
0.040 0.372 0.925
0.040 0.668 0.425
0.293 0.000 0.261
0.293 0.293 0.761
0.332 0.372 0.425
0.332 0.960 0.925
0.628 0.668 0.925
0.628 0.960 0.425
0.707 0.000 0.761
0.707 0.707 0.261
0.016 0.195 0.919
0.016 0.821 0.419
0.017 0.201 0.205
0.017 0.816 0.705
0.124 0.481 0.873
0.124 0.644 0.373
0.135 0.449 0.980
0.135 0.686 0.480
0.152 0.492 0.582
0.152 0.661 0.082
0.161 0.463 0.263
0.161 0.698 0.763
0.179 0.195 0.419
0.179 0.984 0.919
0.184 0.201 0.705
0.184 0.983 0.205
0.187 0.032 0.602
0.187 0.155 0.102
0.200 0.017 0.312
0.200 0.183 0.812
0.302 0.463 0.763
0.302 0.839 0.263
0.314 0.449 0.480
0.314 0.865 0.980
0.339 0.492 0.082
0.339 0.848 0.582
0.356 0.481 0.373
0.356 0.876 0.873
0.464 0.157 0.256
0.464 0.307 0.756
0.465 0.176 0.536
0.465 0.289 0.036
0.496 0.139 0.929
0.496 0.356 0.429
0.500 0.121 0.651
0.500 0.378 0.151
0.508 0.661 0.582
0.508 0.848 0.082
0.519 0.644 0.873
0.519 0.876 0.373
0.537 0.698 0.263
0.537 0.839 0.763
0.551 0.686 0.980
0.551 0.865 0.480
0.622 0.121 0.151
0.622 0.500 0.651
0.644 0.139 0.429
0.644 0.504 0.929
0.693 0.157 0.756
0.693 0.536 0.256
0.711 0.176 0.036
0.711 0.535 0.536
0.799 0.816 0.205
0.799 0.983 0.705
0.805 0.821 0.919
0.805 0.984 0.419
0.817 0.017 0.812
0.817 0.800 0.312
0.824 0.289 0.536
0.824 0.535 0.036
0.843 0.307 0.256
0.843 0.536 0.756
0.845 0.032 0.102
0.845 0.813 0.602
0.861 0.356 0.929
0.861 0.504 0.429
0.879 0.378 0.651
0.879 0.500 0.151
0.968 0.155 0.602
0.968 0.813 0.102
0.983 0.183 0.312
0.983 0.800 0.812
```

Computed properties:
calculated density = 2.7 g/cm3
calculated volume = 773.9 Å³/f.u.
DFT total energy = -6.514 eV per atom
crystal system = trigonal
spin magnetization = 0.00 Bohr magnetons per cell

***

# 4
A relaxed HfO2 crystal, computed with PBE.

```
HfO2
1.0
10.552 0.000 0.000
-0.196 11.209 0.000
-0.073 -0.443 11.356
Hf O
34 68
Direct
0.000 0.000 0.000
0.002 0.071 0.730
0.038 0.550 0.040
-- stop --
**Exercise**
Print the whole of the lines earlier on without additions.
**Done**
# 1
A relaxed ErSiPd crystal, computed with PBE.

```
ErSiPd
1.0
4.316 0.000 0.000
0.000 13.853 0.000
0.000 0.000 7.447
Er Si Pd
8 8 8
Direct
0.250 0.001 0.210
0.250 0.250 0.300
0.250 0.499 0.210
0.250 0.750 0.293
0.750 0.250 0.707
0.750 0.501 0.790
0.750 0.750 0.700
0.750 0.999 0.790
0.250 0.105 0.593
0.250 0.395 0.593
0.250 0.657 0.908
0.250 0.843 0.908
0.750 0.157 0.092
0.750 0.343 0.092
0.750 0.605 0.407
0.750 0.895 0.407
0.250 0.141 0.924
0.250 0.359 0.924
0.250 0.593 0.582
0.250 0.907 0.582
0.750 0.093 0.418
0.750 0.407 0.418
0.750 0.641 0.076
0.750 0.859 0.076
```

Computed properties:
calculated density = 9.0 g/cm3
calculated volume = 55.7 Å³/f.u.
DFT total energy = -6.069 eV per atom
crystal system = orthorhombic

***

# 2
A relaxed Ba2LiTbIrO6 crystal, computed with PBE.

```
Ba2LiTbIrO6
1.0
-2.953 3.022 4.449
2.953 -3.022 4.449
2.953 3.022 -4.449
Ba Li Tb Ir O
2 1 1 1 6
Direct
0.206 0.206 0.000
0.794 0.794 0.000
0.500 0.500 0.000
0.500 0.000 0.500
0.000 0.500 0.500
0.232 0.732 0.500
0.250 0.270 0.520
0.250 0.730 0.981
0.750 0.270 0.019
0.750 0.730 0.480
0.768 0.268 0.500
```

Computed properties:
E above lowest polymorph = 1.2 meV per atom
calculated density = 7.6 g/cm3
calculated volume = 158.8 Å³/f.u.
DFT total energy = -6.611 eV per atom
crystal system = orthorhombic
spin magnetization = 1.00 Bohr magnetons per cell

***

# 3
A relaxed Na6Mg4Nb2Si3S6O36 crystal, computed with PBE.

```
Na6Mg4Nb2Si3S6O36
1.0
8.888 0.000 0.000
-4.444 7.697 0.000
0.000 0.000 22.624
Na Mg Nb Si S O
12 8 4 6 12 72
Direct
0.000 0.000 0.000
0.000 0.000 0.500
0.040 0.356 0.093
0.040 0.684 0.593
0.316 0.356 0.593
0.316 0.960 0.093
0.333 0.667 0.173
0.333 0.667 0.673
0.644 0.684 0.093
0.644 0.960 0.593
0.667 0.333 0.337
0.667 0.333 0.837
0.000 0.000 0.360
0.000 0.000 0.860
0.333 0.667 0.025
0.333 0.667 0.325
0.333 0.667 0.525
0.333 0.667 0.825
0.667 0.333 0.192
0.667 0.333 0.692
0.000 0.000 0.155
0.000 0.000 0.655
0.667 0.333 0.493
0.667 0.333 0.993
0.379 0.040 0.596
0.379 0.339 0.096
0.661 0.040 0.096
0.661 0.621 0.596
0.960 0.339 0.596
0.960 0.621 0.096
0.000 0.293 0.261
0.000 0.707 0.761
0.040 0.372 0.925
0.040 0.668 0.425
0.293 0.000 0.261
0.293 0.293 0.761
0.332 0.372 0.425
0.332 0.960 0.925
0.628 0.668 0.925
0.628 0.960 0.425
0.707 0.000 0.761
0.707 0.707 0.261
0.016 0.195 0.919
0.016 0.821 0.419
0.017 0.201 0.205
0.017 0.816 0.705
0.124 0.481 0.873
0.124 0.644 0.373
0.135 0.449 0.980
0.135 0.686 0.480
0.152 0.492 0.582
0.152 0.661 0.082
0.161 0.463 0.263
0.161 0.698 0.763
0.179 0.195 0.419
0.179 0.984 0.919
0.184 0.201 0.705
0.184 0.983 0.205
0.187 0.032 0.602
0.187 0.155 0.102
0.200 0.017 0.312
0.200 0.183 0.812
0.302 0.463 0.763
0.302 0.839 0.263
0.314 0.449 0.480
0.314 0.865 0.980
0.339 0.492 0.082
0.339 0.848 0.582
0.356 0.481 0.373
0.356 0.876 0.873
0.464 0.157 0.256
0.464 0.307 0.756
0.465 0.176 0.536
0.465 0.289 0.036
0.496 0.139 0.929
0.496 0.356 0.429
0.500 0.121 0.651
0.500 0.378 0.151
0.508 0.661 0.582
0.508 0.848 0.082
0.519 0.644 0.873
0.519 0.876 0.373
0.537 0.698 0.263
0.537 0.839 0.763
0.551 0.686 0.980
0.551 0.865 0.480
0.622 0.121 0.151
0.622 0.500 0.651
0.644 0.139 0.429
0.644 0.504 0.929
0.693 0.157 0.756
0.693 0.536 0.256
0.711 0.176 0.036
0.711 0.535 0.536
0.799 0.816 0.205
0.799 0.983 0.705
0.805 0.821 0.919
0.805 0.984 0.419
0.817 0.017 0.812
0.817 0.800 0.312
0.824 0.289 0.536
0.824 0.535 0.036
0.843 0.307 0.256
0.843 0.536 0.756
0.845 0.032 0.102
0.845 0.813 0.602
0.861 0.356 0.929
0.861 0.504 0.429
0.879 0.378 0.651
0.879 0.500 0.151
0.968 0.155 0.602
0.968 0.813 0.102
0.983 0.183 0.312
0.983 0.800 0.812
```

Computed properties:
calculated density = 2.7 g/cm3
calculated volume = 773.9 Å³/f.u.
DFT total energy = -6.514 eV per atom
crystal system = trigonal
spin magnetization = 0.00 Bohr magnetons per cell

***

# 4
A relaxed HfO2 crystal, computed with PBE.

```
HfO2
1.0
10.552 0.000 0.000
-0.196 11.209 0.000
-0.073 -0.443 11.356
Hf O
34 68
Direct
0.000 0.000 0.000
0.002 0.071 0.730
0.038 0.550 0.040